
“a repressive nation whose residents can barely even google luxury goods”

I don’t normally like to comment on people’s looks but since he is all up in the business of my uterus, I am just gonna say that he has a real unappealing face...punchable and frightening and creepy all at once.

They used these cells without her consent and none of the profits went to her family. If they’d get a share of the cell sales they could afford healthcare.

Why is it okay for the non-Lacks Skloot to make money telling the story in one medium, but not for those actualizing said story (including Skloot, who made money from the film rights) in another? There is labor and non-Lacks profit happening in both instances.

Some things I wonder about in terms of weight loss:

I lost about 30 pounds over the years and I definitely still need a lot of help keeping it off (metformin helps very much). What did work for me was getting liposuction - I had a LOT of belly fat and apparently that particular fat is very good at wrecking shit and making you gain more weight. Indeed I lost fat from


It’s an old, old, old word, boo.

The msnbc joke got groans while calling Ben Carson a jigaboo got laughs

White liberals can't take a race joke. Everyone else is way more chilled about. Wilmore killed it btw that Stephen curry joke was pretty good with a zing

To be fair, most white people are comfortable with jokes about race as long as they’re the ones making it, not the ones receiving it. At least from my experience. Props to Wilmore though. His show deserves more recognition than it gets.

I know you guys are desperately trying to paint anyone who dares critize the all mighty Melissa McArthy the Queen of comedy as a woman hating Mra but this movie looks like shit.

Why would someone feel the need to desecrate a grave, just b/c more than 100 years ago, a guy wrote a letter to this woman, complaining about the smug expression on her face? Speaking of putting a smile on ones face - here’s hoping you get caught in the act, handcuffed and perp walked with your pants still around your

Yes, and ignore that feral cats have been responsible for the extinction of dozens of bird species.

Considering what the “domesticated” cat population does to wild bird populations in the US it’s kind of nice to see the birds win for once.

lol, am i the only one who finds this funny?

...said the cat.

Hey. If a cat ever got the chance, he'd eat you and everyone you care about.

Oh, she’s definitely named Debbie. People call her Deb, and she has a wheat-blonde shoulder-length haircut and two kids. Her eldest son is the QB on his high-school football team and she’s just so damn proud!

## What comes next are data records, not part of the piece
-- begin --
1.
Molecular formula: C6H15F2N2O6S2Sn
Method: DFT, the ωB97M-V functional and the def2-TZVPD basis

Positions of all 34 atoms, in Å:
Sn  2.52729  -1.25233  0.78433
N  1.00470  -1.24470  -1.71806
S  0.24234  -1.87555  -2.88408
O  0.92040  -2.02797  -4.14892
O  -1.17463  -1.65124  -3.05061
F  0.19727  -3.41814  -2.39572
S  0.53114  0.31573  -2.20372
O  -0.71062  0.78442  -1.63060
O  0.84977  0.73104  -3.55965
F  1.62885  1.00023  -1.29206
C  0.31857  4.19408  -0.36175
O  0.74368  3.03971  0.35291
C  -0.12419  2.60191  1.37672
C  0.66822  1.41892  1.97302
N  0.37282  0.16167  1.22667
C  -0.98255  -0.44888  1.43644
C  -1.14084  -1.68067  0.56184
O  -0.04769  -2.47455  1.03451
C  -0.25570  -3.88543  0.97581
H  1.12855  4.58754  -0.96929
H  0.10011  4.86579  0.47550
H  -0.59177  4.08181  -0.95343
H  -1.11544  2.35548  0.99022
H  -0.22444  3.34686  2.17220
H  0.40364  1.10486  2.98353
H  1.71832  1.63078  1.78985
H  0.04878  0.50053  0.31505
H  -1.71592  0.32444  1.19298
H  -1.24969  -0.75671  2.45046
H  -1.02288  -1.37066  -0.47704
H  -2.10353  -2.16937  0.69658
H  0.65535  -4.48234  0.92527
H  -0.81354  -4.08948  0.06166
H  -0.78638  -4.21778  1.86940

Summary:
LUMO energy: -6.98 eV
relative energy (zero: lowest compared OMol25 entry of this formula, charge and spin): 41.2 kcal/mol
multiplicity: 1
electronic energy: -2008.5263 hartree
charge: +1
M: 432.03 g mol⁻¹
orbital gap: 6.10 eV


2.
Molecular formula: C8H11N5O3
Method: DFT, the ωB97M-V functional and the def2-TZVPD basis

Positions of all 27 atoms, in Å:
N  -0.24744  3.21674  1.23138
C  -0.10562  2.33589  0.22292
N  0.35422  1.03483  0.39227
C  0.46462  0.46979  -0.68959
N  0.74892  -0.72283  -0.75708
C  0.91790  -0.96048  -2.18122
N  0.60819  0.09849  -2.87567
C  0.10636  0.92093  -2.10137
C  -0.32581  2.26506  -2.23980
N  -0.41009  2.97894  -1.02210
O  -0.46431  2.73813  -3.52531
H  -0.44930  2.16773  -4.20213
H  1.02075  -1.94310  -2.48233
C  1.33653  -1.73518  0.16521
O  0.12781  -2.57400  0.50708
C  -0.86361  -1.90599  0.94951
H  -1.32199  -1.16968  0.38070
H  -1.60536  -2.76922  0.99059
C  -0.92477  -1.53241  2.31726
O  -0.34050  -2.30080  3.27033
H  0.12840  -2.83612  2.84921
H  -1.70396  -0.97539  2.52974
H  -0.13105  -0.56567  2.24062
H  1.72703  -0.98378  1.01643
H  1.93946  -2.44006  -0.24950
H  -0.54649  4.12728  1.03890
H  -0.03991  3.06088  2.22395

Summary:
LUMO energy: 0.54 eV
relative energy (zero: lowest compared OMol25 entry of this formula, charge and spin): 102.0 kcal/mol
multiplicity: 1
electronic energy: -810.7260 hartree
M: 225.21 g mol⁻¹
orbital gap: 8.23 eV


3.
Molecular formula: C3H3NO2
Method: DFT, the ωB97M-V functional and the def2-TZVPD basis

Positions of all 9 atoms, in Å:
O  2.08918  0.02426  0.15790
C  0.75072  -0.25282  0.17607
N  0.41979  -1.50339  0.23454
O  -1.34840  -1.25785  0.06779
C  -1.46391  0.04778  0.02033
C  -0.28514  0.71396  0.10300
H  2.39476  -0.11287  -0.75225
H  -2.42873  0.56743  -0.09458
H  -0.12826  1.77349  0.08719

Summary:
-- stop --

I am a tall, athletic female. I have broad shoulders. When I had short hair, I used to refer to it as my “hey, mister, you can’t go in that washroom” haircut. There is a certain type of woman who loves to say that line. It is the same type of woman who rushes out of her house when you park in front of it to remind you